Thursday, November 29

You know, I was thinking today that when I write this blog, it is late, I am tired and it must sometimes come off in a weird sort of way.  I know (and sometimes catch) there are spelling and grammatical errors, because I rarely go back an proof them.  All through the day I think of things and say “I should put that in the blog tonight!”  and then just forget about them.  Maybe I will write something tomorrow afternoon for a change of pace!

So, I have another audition tomorrow.  I got an email from some company who saw my resume and headshot on Backstage.  I am not holding my breath, but, will go  I can’t even remember the name of the company, and don’t want to look it up right now.  Will let you know how it went.  We got up early this morning because Rose, the PT had a session at 8am.  David didn’t remember that I told him that this was scheduled, and was very confused.  He wanted immediately to look at the calendar to check to see if it was written down, and I know it wasn’t because she made the appointment late yesterday afternoon, and I thought just telling David would be OK.  I learned my lesson – if it isn’t written down, it isn’t happening.  He had a great session and Rose had David walking with a cane.  She has ordered a cane that will have a wrist strap and will have a wider base – sort of like the “Hurry-Cane” as seen on TV.

Today was one of those days when my multi-tasking came in very handy.  Between PT, OT, Calls from the Outpatient PT and OT and Pharmacy and trying to schedule the ST and a visit from Maria to go over menu options, I sometimes wasn’t sure if I was coming or going.  While I was talking to Maria and David was working with the OT, she asked him if he ever walked around apartment with the walker, to which he said no, and in mid sentence with Maria, I turned and said “yes he does”, and then right on with Maria.  I think she thought I was crazy!  Both Maria and Diane.

Maria brought some delicious sandwiches that we had for dinner and cookies for dessert – thanks Maria and Halcyon Gourmet!  Great, great stuff!  I had scheduled the MJHS Speech Therapist for 7pm tonight, and when she called at 7:10pm to say she was on her way, I told her not to come, it was too late.  David wasn’t happy about it being at 7pm, and at 7:00:01 PM he looked at his watch and then at me, and wanted me to call and cancel.  I was glad she called so I could save her the trouble, but he has no patience for that.  Rose – the PT and Siobhan are the only therapists since the HJD that seem to know how to keep a schedule.

[Between two parts of the page: crystal structures]
┌──
# NdN GGA-PBE optimized geometry
# ΔE_f: -1.535 eV/atom
data_NdN
_chemical_formula_sum 'Nd4 N4'
_symmetry_space_group_name_H-M 'F m -3 m'
_symmetry_Int_Tables_number 225
_symmetry_space_group_name_Hall '-F 4 2 3'
_cell_length_a 5.165
_cell_length_b 5.165
_cell_length_c 5.165
_cell_angle_alpha 90.00
_cell_angle_beta 90.00
_cell_angle_gamma 90.00
loop_
_atom_site_label
_atom_site_type_symbol
_atom_site_fract_x
_atom_site_fract_y
_atom_site_fract_z
Nd1 Nd 0.000 0.000 0.000
N1 N 0.000 0.000 0.500

***

# NdZrNO2 GGA-PBE optimized geometry
# ΔE_f: -2.936 eV/atom
# Total moment: 0.0000 μB/atom
data_NdZrNO2
_chemical_formula_sum 'Nd4 Zr4 N4 O8'
_symmetry_space_group_name_H-M 'P 1 21/c 1'
_symmetry_Int_Tables_number 14
_symmetry_space_group_name_Hall '-P 2ybc'
_cell_length_a 5.766
_cell_length_b 5.955
_cell_length_c 9.986
_cell_angle_alpha 90.00
_cell_angle_beta 124.57
_cell_angle_gamma 90.00
loop_
_atom_site_label
_atom_site_type_symbol
_atom_site_fract_x
_atom_site_fract_y
_atom_site_fract_z
Nd1 Nd 0.221 0.051 0.242
Zr1 Zr 0.000 0.000 0.500
Zr2 Zr 0.500 0.000 0.000
N1 N 0.145 0.204 0.942
O1 O 0.227 0.707 0.934
O2 O 0.366 0.041 0.750

***

# Nd4Se3N2 GGA-PBE optimized geometry
# ΔE_f: -1.807 eV/atom
data_Nd4Se3N2
_chemical_formula_sum 'Nd16 Se12 N8'
_symmetry_space_group_name_H-M 'C 1 2/c 1'
_symmetry_Int_Tables_number 15
_symmetry_space_group_name_Hall '-C 2yc'
_cell_length_a 13.179
_cell_length_b 10.229
_cell_length_c 6.499
_cell_angle_alpha 90.00
_cell_angle_beta 90.20
_cell_angle_gamma 90.00
loop_
_atom_site_label
_atom_site_type_symbol
_atom_site_fract_x
_atom_site_fract_y
_atom_site_fract_z
Nd1 Nd 0.127 0.184 0.470
Nd2 Nd 0.165 0.420 0.928
Se1 Se 0.000 0.403 0.250
Se2 Se 0.115 0.131 0.965
N1 N 0.206 0.376 0.585

***

# Nd3Se3N GGA-PBE optimized geometry
# ΔE_f: -1.842 eV/atom
data_Nd3Se3N
_chemical_formula_sum 'Nd12 Se12 N4'
_symmetry_space_group_name_H-M 'P n m a'
_symmetry_Int_Tables_number 62
_symmetry_space_group_name_Hall '-P 2ac 2n'
_cell_length_a 12.723
_cell_length_b 4.154
_cell_length_c 13.505
_cell_angle_alpha 90.00
_cell_angle_beta 90.00
_cell_angle_gamma 90.00
loop_
_atom_site_label
_atom_site_type_symbol
_atom_site_fract_x
_atom_site_fract_y
_atom_site_fract_z
Nd1 Nd 0.029 0.250 0.155
Nd2 Nd 0.087 0.250 0.632
Nd3 Nd 0.221 0.250 0.868
Se1 Se 0.079 0.250 0.392
Se2 Se 0.138 0.750 0.002
Se3 Se 0.238 0.750 0.698
N1 N 0.055 0.250 0.798

***

# NdSi3N5 GGA-PBE optimized geometry
# ΔE_f: -1.431 eV/atom
data_NdSi3N5
_chemical_formula_sum 'Nd4 Si12 N20'
_symmetry_space_group_name_H-M 'P 21 21 21'
_symmetry_Int_Tables_number 19
_symmetry_space_group_name_Hall 'P 2ac 2ab'
_cell_length_a 4.803
_cell_length_b 7.862
_cell_length_c 11.303
_cell_angle_alpha 90.00
_cell_angle_beta 90.00
_cell_angle_gamma 90.00
loop_
_atom_site_label
_atom_site_type_symbol
_atom_site_fract_x
_atom_site_fract_y
_atom_site_fract_z
Nd1 Nd 0.003 0.060 0.171
Si1 Si 0.015 0.162 0.839
Si2 Si 0.017 0.293 0.583
Si3 Si 0.024 0.467 0.041
N1 N 0.047 0.343 0.920
└──

At 8pm David wanted to go to sleep, and then at 9pm he called and said he wanted to get back out of bed and watch Project Runway All-Stars.  He went back to bed right afterwards.  We got the new chair, which is much lighter and easier to maneuver.  I think it is less comfortable, but it is really just for transport, and not sitting for long periods.  It may not be a bad thing if the wheelchair is not David’s favorite place to be.  I have been meaning to post another walking video and will do that tomorrow for my afternoon post!